Activity.
Filter the calculation results further down: keep the lines with the word "computed".
Given.
____________
For Cu8SiSe6, a GGA-PBE-relaxed structure gives the computed powder diffraction line list in this record (Cu Kα, 1.54184 Å).

Main lines, by angle (5 to 70 degrees two-theta):
2θ/deg, Rel. int., (hkl)
28.76, 574, 2 1 1
28.98, 582, 1 0 3
30.07, 959, 2 0 2
30.37, 665, 0 2 2
45.82, 451, 3 0 3
46.12, 1000, 2 3 1
49.93, 321, 4 0 0
50.42, 776, 2 2 4

Atomic structure:
```
data_Cu8SiSe6
_space_group_name_H-M_alt 'P m n 21'
_space_group_IT_number 31
_cell_length_a 7.307
_cell_length_b 7.202
_cell_length_c 10.218
_cell_angle_alpha 90.00
_cell_angle_beta 90.00
_cell_angle_gamma 90.00
loop_
_space_group_symop_operation_xyz
'x,y,z'
'-x+1/2,-y,z+1/2'
'-x,y,z'
'x+1/2,-y,z+1/2'
loop_
_atom_site_label
_atom_site_type_symbol
_atom_site_fract_x
_atom_site_fract_y
_atom_site_fract_z
Cu1 Cu 0.000 0.094 0.000
Cu2 Cu 0.000 0.232 0.569
Cu3 Cu 0.188 0.018 0.786
Cu4 Cu 0.194 0.659 0.879
Cu5 Cu 0.215 0.606 0.191
Si1 Si 0.000 0.752 0.527
Se1 Se 0.000 0.004 0.396
Se2 Se 0.000 0.299 0.803
Se3 Se 0.000 0.495 0.395
Se4 Se 0.000 0.766 0.049
Se5 Se 0.239 0.251 0.147
```
____________
Reply.
For Cu8SiSe6, a GGA-PBE-relaxed structure gives the computed powder diffraction line list in this record (Cu Kα, 1.54184 Å).